Brief
Please duplicate all of the notes below character by character.

Excerpt
┌──
{
  "formula": "Ca4Cu3Pt",
  "functional": "PBE",
  "state": "relaxed",
  "lattice_angstrom": [[-1.999, 2.128, 2.923], [-1.402, -3.676, 1.717], [8.722, -0.403, 6.259]],
  "species": ["Ca", "Ca", "Ca", "Ca", "Pt", "Cu", "Cu", "Cu"],
  "frac_coords": [[0.500, 0.500, 0.351], [0.000, 0.500, 0.865], [0.000, 0.000, 0.140], [0.500, 0.000, 0.642], [0.500, 0.500, 0.069], [0.000, 0.500, 0.558], [0.000, 0.000, 0.441], [0.500, 0.000, 0.934]],
  "magmom_total_mub_per_atom": 0.00,
  "volume_a3_per_cell": 191,
  "final_energy_ev_per_atom": -3.6674,
  "crystal_system": "orthorhombic"
}

=====

1.
Compound: TbBiPt
Source: OQMD via LeMat-Bulk
Functional: PBE
Structure: optimized geometry

The structure in extended XYZ format:
```
9
Lattice="7.673 0.000 0.000 -3.836 6.645 0.000 0.000 0.000 4.202" Properties=species:S:1:pos:R:3 pbc="T T T"
Tb -2.320 4.019 0.000
Tb 1.516 2.626 0.000
Tb 4.641 0.000 0.000
Bi -1.032 1.788 2.101
Bi 2.065 0.000 2.101
Bi 2.804 4.857 2.101
Pt 0.000 0.000 0.000
Pt 0.000 4.430 2.101
Pt 3.836 2.215 2.101
```

Values from the calculation:
- Space-group type: P-62m
- Uncorrected energy: -5.776 eV/atom


2.
Compound: TbBiPt
Source: OQMD via LeMat-Bulk
Functional: PBE
Structure: optimized geometry

The structure in extended XYZ format:
```
9
Lattice="8.395 0.000 0.000 -4.198 7.270 0.000 0.000 0.000 3.537" Properties=species:S:1:pos:R:3 pbc="T T T"
Tb -1.252 2.168 0.000
Tb 2.503 0.000 0.000
Tb 2.946 5.102 0.000
Bi 0.000 0.000 1.768
Bi 0.000 4.847 0.000
Bi 4.198 2.423 0.000
Pt -2.730 4.729 1.768
Pt 1.467 2.541 1.768
Pt 5.461 0.000 1.768
```

Values from the calculation:
- Space-group type: P-62m
- Uncorrected energy: -5.344 eV/atom


3.
Compound: TcBiPt2
Source: OQMD via LeMat-Bulk
Functional: PBE
Structure: optimized geometry

The structure in extended XYZ format:
```
16
Lattice="6.565 0.000 0.000 0.000 6.565 0.000 0.000 0.000 6.565" Properties=species:S:1:pos:R:3 pbc="T T T"
Tc 0.000 0.000 0.000
Tc 0.000 3.282 3.282
Tc 3.282 0.000 3.282
Tc 3.282 3.282 0.000
Bi 1.641 1.641 4.924
Bi 1.641 4.924 1.641
Bi 4.924 1.641 1.641
Bi 4.924 4.924 4.924
Pt 0.000 0.000 3.282
Pt 0.000 3.282 0.000
Pt 1.641 1.641 1.641
Pt 1.641 4.924 4.924
Pt 3.282 0.000 0.000
Pt 3.282 3.282 3.282
Pt 4.924 1.641 4.924
Pt 4.924 4.924 1.641
```

Values from the calculation:
- Space-group type: F-43m
- Uncorrected energy: -6.333 eV/atom


4.
Compound: Tc2BiPt
Source: OQMD via LeMat-Bulk
Functional: PBE
Structure: optimized geometry

The structure in extended XYZ format:
```
16
Lattice="6.548 0.000 0.000 0.000 6.548 0.000 0.000 0.000 6.548" Properties=species:S:1:pos:R:3 pbc="T T T"
Tc 0.000 0.000 0.000
Tc 0.000 3.274 3.274
Tc 1.637 1.637 1.637
Tc 1.637 4.911 4.911
Tc 3.274 0.000 3.274
Tc 3.274 3.274 0.000
Tc 4.911 1.637 4.911
Tc 4.911 4.911 1.637
Bi 0.000 0.000 3.274
Bi 0.000 3.274 0.000
Bi 3.274 0.000 0.000
Bi 3.274 3.274 3.274
Pt 1.637 1.637 4.911
Pt 1.637 4.911 1.637
Pt 4.911 1.637 1.637
Pt 4.911 4.911 4.911
```

Values from the calculation:
- Space-group type: F-43m
- Uncorrected energy: -7.098 eV/atom


5.
Compound: TlBiPt
Source: OQMD via LeMat-Bulk
Functional: PBE
Structure: optimized geometry

The structure in extended XYZ format:
```
12
Lattice="6.775 0.000 0.000 0.000 6.775 0.000 0.000 0.000 6.775" Properties=species:S:1:pos:R:3 pbc="T T T"
Tl 0.000 0.000 0.000
Tl 0.000 3.388 3.388
Tl 3.388 0.000 3.388
Tl 3.388 3.388 0.000
Bi 0.000 0.000 3.388
Bi 0.000 3.388 0.000
Bi 3.388 0.000 0.000
Bi 3.388 3.388 3.388
Pt 1.694 1.694 5.082
Pt 1.694 5.082 1.694
Pt 5.082 1.694 1.694
Pt 5.082 5.082 5.082
```

Values from the calculation:
- Space-group type: F-43m
- Energy above the most stable polymorph in this dataset: 0 meV/atom
- Uncorrected energy: -4.284 eV/atom


6.
Compound: TlBiPt2
Source: OQMD via LeMat-Bulk
Functional: PBE
Structure: optimized geometry

The structure in extended XYZ format:
```
4
Lattice="4.340 0.000 0.000 -2.170 3.758 0.000 0.000 0.000 5.555" Properties=species:S:1:pos:R:3 pbc="T T T"
Tl 0.000 0.000 0.000
Bi 0.000 2.506 2.778
└──

Solution
{
  "formula": "Ca4Cu3Pt",
  "functional": "PBE",
  "state": "relaxed",
  "lattice_angstrom": [[-1.999, 2.128, 2.923], [-1.402, -3.676, 1.717], [8.722, -0.403, 6.259]],
  "species": ["Ca", "Ca", "Ca", "Ca", "Pt", "Cu", "Cu", "Cu"],
  "frac_coords": [[0.500, 0.500, 0.351], [0.000, 0.500, 0.865], [0.000, 0.000, 0.140], [0.500, 0.000, 0.642], [0.500, 0.500, 0.069], [0.000, 0.500, 0.558], [0.000, 0.000, 0.441], [0.500, 0.000, 0.934]],
  "magmom_total_mub_per_atom": 0.00,
  "volume_a3_per_cell": 191,
  "final_energy_ev_per_atom": -3.6674,
  "crystal_system": "orthorhombic"
}

=====

1.
Compound: TbBiPt
Source: OQMD via LeMat-Bulk
Functional: PBE
Structure: optimized geometry

The structure in extended XYZ format:
```
9
Lattice="7.673 0.000 0.000 -3.836 6.645 0.000 0.000 0.000 4.202" Properties=species:S:1:pos:R:3 pbc="T T T"
Tb -2.320 4.019 0.000
Tb 1.516 2.626 0.000
Tb 4.641 0.000 0.000
Bi -1.032 1.788 2.101
Bi 2.065 0.000 2.101
Bi 2.804 4.857 2.101
Pt 0.000 0.000 0.000
Pt 0.000 4.430 2.101
Pt 3.836 2.215 2.101
```

Values from the calculation:
- Space-group type: P-62m
- Uncorrected energy: -5.776 eV/atom


2.
Compound: TbBiPt
Source: OQMD via LeMat-Bulk
Functional: PBE
Structure: optimized geometry

The structure in extended XYZ format:
```
9
Lattice="8.395 0.000 0.000 -4.198 7.270 0.000 0.000 0.000 3.537" Properties=species:S:1:pos:R:3 pbc="T T T"
Tb -1.252 2.168 0.000
Tb 2.503 0.000 0.000
Tb 2.946 5.102 0.000
Bi 0.000 0.000 1.768
Bi 0.000 4.847 0.000
Bi 4.198 2.423 0.000
Pt -2.730 4.729 1.768
Pt 1.467 2.541 1.768
Pt 5.461 0.000 1.768
```

Values from the calculation:
- Space-group type: P-62m
- Uncorrected energy: -5.344 eV/atom


3.
Compound: TcBiPt2
Source: OQMD via LeMat-Bulk
Functional: PBE
Structure: optimized geometry

The structure in extended XYZ format:
```
16
Lattice="6.565 0.000 0.000 0.000 6.565 0.000 0.000 0.000 6.565" Properties=species:S:1:pos:R:3 pbc="T T T"
Tc 0.000 0.000 0.000
Tc 0.000 3.282 3.282
Tc 3.282 0.000 3.282
Tc 3.282 3.282 0.000
Bi 1.641 1.641 4.924
Bi 1.641 4.924 1.641
Bi 4.924 1.641 1.641
Bi 4.924 4.924 4.924
Pt 0.000 0.000 3.282
Pt 0.000 3.282 0.000
Pt 1.641 1.641 1.641
Pt 1.641 4.924 4.924
Pt 3.282 0.000 0.000
Pt 3.282 3.282 3.282
Pt 4.924 1.641 4.924
Pt 4.924 4.924 1.641
```

Values from the calculation:
- Space-group type: F-43m
- Uncorrected energy: -6.333 eV/atom


4.
Compound: Tc2BiPt
Source: OQMD via LeMat-Bulk
Functional: PBE
Structure: optimized geometry

The structure in extended XYZ format:
```
16
Lattice="6.548 0.000 0.000 0.000 6.548 0.000 0.000 0.000 6.548" Properties=species:S:1:pos:R:3 pbc="T T T"
Tc 0.000 0.000 0.000
Tc 0.000 3.274 3.274
Tc 1.637 1.637 1.637
Tc 1.637 4.911 4.911
Tc 3.274 0.000 3.274
Tc 3.274 3.274 0.000
Tc 4.911 1.637 4.911
Tc 4.911 4.911 1.637
Bi 0.000 0.000 3.274
Bi 0.000 3.274 0.000
Bi 3.274 0.000 0.000
Bi 3.274 3.274 3.274
Pt 1.637 1.637 4.911
Pt 1.637 4.911 1.637
Pt 4.911 1.637 1.637
Pt 4.911 4.911 4.911
```

Values from the calculation:
- Space-group type: F-43m
- Uncorrected energy: -7.098 eV/atom


5.
Compound: TlBiPt
Source: OQMD via LeMat-Bulk
Functional: PBE
Structure: optimized geometry

The structure in extended XYZ format:
```
12
Lattice="6.775 0.000 0.000 0.000 6.775 0.000 0.000 0.000 6.775" Properties=species:S:1:pos:R:3 pbc="T T T"
Tl 0.000 0.000 0.000
Tl 0.000 3.388 3.388
Tl 3.388 0.000 3.388
Tl 3.388 3.388 0.000
Bi 0.000 0.000 3.388
Bi 0.000 3.388 0.000
Bi 3.388 0.000 0.000
Bi 3.388 3.388 3.388
Pt 1.694 1.694 5.082
Pt 1.694 5.082 1.694
Pt 5.082 1.694 1.694
Pt 5.082 5.082 5.082
```

Values from the calculation:
- Space-group type: F-43m
- Energy above the most stable polymorph in this dataset: 0 meV/atom
- Uncorrected energy: -4.284 eV/atom


6.
Compound: TlBiPt2
Source: OQMD via LeMat-Bulk
Functional: PBE
Structure: optimized geometry

The structure in extended XYZ format:
```
4
Lattice="4.340 0.000 0.000 -2.170 3.758 0.000 0.000 0.000 5.555" Properties=species:S:1:pos:R:3 pbc="T T T"
Tl 0.000 0.000 0.000
Bi 0.000 2.506 2.778